-- Excerpt --
........
(1)
Diffraction record for AcPm6Nd4. The XRD peak list is computed, not measured: it uses a structure optimized by DFT (PBE) and λ = 1.5418 Å (Cu Kα).

Largest 10 diffraction maxima, by angle, 10° ≤ 2θ ≤ 80°:
| h k l | d/Å | two_theta | I_rel |
| --- | --- | --- | --- |
| 1 1 4 | 3.246 | 27.48 | 36 |
| 2 0 2 | 3.156 | 28.28 | 80 |
| 1 0 5 | 3.135 | 28.47 | 39 |
| 2 1 1 | 2.978 | 30.00 | 100 |
| 0 0 6 | 2.949 | 30.31 | 29 |
| 2 0 4 | 2.685 | 33.37 | 90 |
| 1 1 6 | 2.509 | 35.79 | 37 |
| 2 2 0 | 2.389 | 37.66 | 33 |
| 2 1 5 | 2.298 | 39.21 | 28 |
| 4 1 1 | 1.632 | 56.39 | 30 |

Atomic structure:
Unit cell a=6.756 b=6.756 c=17.693 alpha=90.00 beta=90.00 gamma=90.00
Space group I-42m (No. 121)
One atom of each set of equivalent atoms:
Ac: 0.000 0.000 0.000 x2
Pm: 0.000 0.500 0.000 x4
Pm: 0.179 0.179 0.373 x8
Nd: 0.191 0.191 0.181 x8

(2)
Diffraction record for AcPm14Nd. The XRD peak list is computed, not measured: it uses a structure optimized by DFT (PBE) and λ = 1.5418 Å (Cu Kα).

Largest 10 diffraction maxima, by angle, 10° ≤ 2θ ≤ 80°:
| h k l | d/Å | two_theta | I_rel |
| --- | --- | --- | --- |
| 0 0 4 | 3.208 | 27.81 | 23 |
| 4 0 0 | 2.974 | 30.04 | 25 |
| 2 2 2 | 2.824 | 31.69 | 100 |
| 4 0 4 | 2.181 | 41.39 | 16 |
| 0 4 0 | 1.852 | 49.19 | 20 |
| 6 2 2 | 1.687 | 54.39 | 22 |
| 4 4 0 | 1.572 | 58.72 | 23 |
| 2 0 8 | 1.549 | 59.70 | 16 |
| 4 4 4 | 1.412 | 66.19 | 4 |
| 6 0 8 | 1.247 | 76.36 | 8 |

Atomic structure:
Unit cell a=11.898 b=7.414 c=12.827 alpha=90.00 beta=90.00 gamma=90.00
Space group Amm2 (No. 38)
One atom of each set of equivalent atoms:
Ac: 0.000 0.000 0.000 x2
Pm: 0.000 0.249 0.251 x4
Pm: 0.250 0.000 0.668 x4
Pm: 0.253 0.000 0.168 x4
Pm: 0.254 0.249 0.417 x8
Pm: 0.500 0.000 0.001 x2
Pm: 0.500 0.000 0.501 x2
Pm: 0.500 0.250 0.250 x4
Nd: 0.000 0.000 0.500 x2

(3)
Diffraction record for Ac8PmNd5. The XRD peak list is computed, not measured: it uses a structure optimized by DFT (PBE) and λ = 1.5418 Å (Cu Kα).

Largest 10 diffraction maxima, by angle, 10° ≤ 2θ ≤ 80°:
| h k l | d/Å | two_theta | I_rel |
| --- | --- | --- | --- |
| 2 1 -1 | 3.208 | 27.81 | 38 |
| 0 1 -3 | 3.103 | 28.77 | 52 |
| 0 2 1 | 3.083 | 28.96 | 100 |
| 0 3 -2 | 2.970 | 30.08 | 45 |
| -2 1 2 | 2.931 | 30.49 | 42 |
| 2 0 2 | 2.346 | 38.36 | 17 |
| -4 1 1 | 1.903 | 47.81 | 18 |
| 2 -5 3 | 1.717 | 53.37 | 12 |
| 4 0 -4 | 1.622 | 56.76 | 16 |
| 4 1 0 | 1.618 | 56.89 | 16 |

Atomic structure:
Unit cell a=7.609 b=9.278 c=9.594 alpha=114.33 beta=101.39 gamma=101.89
Space group P1 (No. 1)
One atom of each set of equivalent atoms:
Ac: 0.000 0.000 0.000 x1
Ac: 0.037 0.828 0.288 x1
Ac: 0.313 0.679 0.564 x1
Ac: 0.387 0.411 0.148 x1
Ac: 0.503 0.001 0.014 x1
Ac: 0.607 0.549 0.871 x1
Ac: 0.813 0.677 0.556 x1
Ac: 0.921 0.242 0.431 x1
Pm: 0.213 0.125 0.715 x1
Nd: 0.111 0.553 0.881 x1
Nd: 0.421 0.233 0.430 x1
Nd: 0.537 0.840 0.298 x1
Nd: 0.711 0.125 0.717 x1
Nd: 0.885 0.400 0.136 x1

(4)
Diffraction record for AcPm6Nd12. The XRD peak list is computed, not measured: it uses a structure optimized by DFT (PBE) and λ = 1.5418 Å (Cu Kα).

Largest 10 diffraction maxima, by angle, 10° ≤ 2θ ≤ 80°:
| h k l | d/Å | two_theta | I_rel |
| --- | --- | --- | --- |
| 1 3 1 | 3.194 | 27.93 | 22 |
| 1 0 4 | 3.077 | 29.02 | 35 |
| 3 1 2 | 2.930 | 30.51 | 43 |
| 4 0 1 | 2.897 | 30.86 | 100 |
| 0 4 2 | 2.695 | 33.24 | 28 |
| 2 2 3 | 2.670 | 33.57 | 45 |
| 3 0 6 | 1.872 | 48.64 | 19 |
| 4 4 0 | 1.717 | 53.35 | 18 |
| 4 3 4 | 1.667 | 55.10 | 21 |
| 0 7 2 | 1.643 | 55.98 | 18 |

Atomic structure:
Unit cell a=13.7375 b=13.7375 c=12.7434 alpha=90.00 beta=90.00 gamma=120.00
Space group R-3m (No. 166, hexagonal axes)
One atom of each set of equivalent atoms:
Ac: 0.0000 0.0000 0.0000 x3
Pm: 0.0379 0.5190 0.6178 x18
Nd: 0.0000 0.2598 0.5000 x18
Nd: 0.0908 0.1816 0.2638 x18

(5)
Diffraction record for Ac2Pm3Nd7. The XRD peak list is computed, not measured: it uses a structure optimized by DFT (PBE) and λ = 1.5418 Å (Cu Kα).

Largest 10 diffraction maxima, by angle, 10° ≤ 2θ ≤ 80°:
........

-- Wanted --
Start at the top of the entries above and restate each line, ending with the one that has "0.233 0.430".

-- Written answer --
(1)
Diffraction record for AcPm6Nd4. The XRD peak list is computed, not measured: it uses a structure optimized by DFT (PBE) and λ = 1.5418 Å (Cu Kα).

Largest 10 diffraction maxima, by angle, 10° ≤ 2θ ≤ 80°:
| h k l | d/Å | two_theta | I_rel |
| --- | --- | --- | --- |
| 1 1 4 | 3.246 | 27.48 | 36 |
| 2 0 2 | 3.156 | 28.28 | 80 |
| 1 0 5 | 3.135 | 28.47 | 39 |
| 2 1 1 | 2.978 | 30.00 | 100 |
| 0 0 6 | 2.949 | 30.31 | 29 |
| 2 0 4 | 2.685 | 33.37 | 90 |
| 1 1 6 | 2.509 | 35.79 | 37 |
| 2 2 0 | 2.389 | 37.66 | 33 |
| 2 1 5 | 2.298 | 39.21 | 28 |
| 4 1 1 | 1.632 | 56.39 | 30 |

Atomic structure:
Unit cell a=6.756 b=6.756 c=17.693 alpha=90.00 beta=90.00 gamma=90.00
Space group I-42m (No. 121)
One atom of each set of equivalent atoms:
Ac: 0.000 0.000 0.000 x2
Pm: 0.000 0.500 0.000 x4
Pm: 0.179 0.179 0.373 x8
Nd: 0.191 0.191 0.181 x8

(2)
Diffraction record for AcPm14Nd. The XRD peak list is computed, not measured: it uses a structure optimized by DFT (PBE) and λ = 1.5418 Å (Cu Kα).

Largest 10 diffraction maxima, by angle, 10° ≤ 2θ ≤ 80°:
| h k l | d/Å | two_theta | I_rel |
| --- | --- | --- | --- |
| 0 0 4 | 3.208 | 27.81 | 23 |
| 4 0 0 | 2.974 | 30.04 | 25 |
| 2 2 2 | 2.824 | 31.69 | 100 |
| 4 0 4 | 2.181 | 41.39 | 16 |
| 0 4 0 | 1.852 | 49.19 | 20 |
| 6 2 2 | 1.687 | 54.39 | 22 |
| 4 4 0 | 1.572 | 58.72 | 23 |
| 2 0 8 | 1.549 | 59.70 | 16 |
| 4 4 4 | 1.412 | 66.19 | 4 |
| 6 0 8 | 1.247 | 76.36 | 8 |

Atomic structure:
Unit cell a=11.898 b=7.414 c=12.827 alpha=90.00 beta=90.00 gamma=90.00
Space group Amm2 (No. 38)
One atom of each set of equivalent atoms:
Ac: 0.000 0.000 0.000 x2
Pm: 0.000 0.249 0.251 x4
Pm: 0.250 0.000 0.668 x4
Pm: 0.253 0.000 0.168 x4
Pm: 0.254 0.249 0.417 x8
Pm: 0.500 0.000 0.001 x2
Pm: 0.500 0.000 0.501 x2
Pm: 0.500 0.250 0.250 x4
Nd: 0.000 0.000 0.500 x2

(3)
Diffraction record for Ac8PmNd5. The XRD peak list is computed, not measured: it uses a structure optimized by DFT (PBE) and λ = 1.5418 Å (Cu Kα).

Largest 10 diffraction maxima, by angle, 10° ≤ 2θ ≤ 80°:
| h k l | d/Å | two_theta | I_rel |
| --- | --- | --- | --- |
| 2 1 -1 | 3.208 | 27.81 | 38 |
| 0 1 -3 | 3.103 | 28.77 | 52 |
| 0 2 1 | 3.083 | 28.96 | 100 |
| 0 3 -2 | 2.970 | 30.08 | 45 |
| -2 1 2 | 2.931 | 30.49 | 42 |
| 2 0 2 | 2.346 | 38.36 | 17 |
| -4 1 1 | 1.903 | 47.81 | 18 |
| 2 -5 3 | 1.717 | 53.37 | 12 |
| 4 0 -4 | 1.622 | 56.76 | 16 |
| 4 1 0 | 1.618 | 56.89 | 16 |

Atomic structure:
Unit cell a=7.609 b=9.278 c=9.594 alpha=114.33 beta=101.39 gamma=101.89
Space group P1 (No. 1)
One atom of each set of equivalent atoms:
Ac: 0.000 0.000 0.000 x1
Ac: 0.037 0.828 0.288 x1
Ac: 0.313 0.679 0.564 x1
Ac: 0.387 0.411 0.148 x1
Ac: 0.503 0.001 0.014 x1
Ac: 0.607 0.549 0.871 x1
Ac: 0.813 0.677 0.556 x1
Ac: 0.921 0.242 0.431 x1
Pm: 0.213 0.125 0.715 x1
Nd: 0.111 0.553 0.881 x1
Nd: 0.421 0.233 0.430 x1